Exercise:
Now give back the whole of the material below verbatim.

Entries:
'''
1.
Computed, not measured: an isolated molecule of C17H26FNO2, with wB97M-V/def2-TZVPD.

Last column: Mulliken charge in e.
Positions of all 47 atoms, in Å:
1 F 3.95 -1.97 -1.22  -0.335
2 O -3.40 -2.96 -0.07  -0.598
3 O 0.03 -1.85 0.21  -0.142
4 N -1.78 0.24 0.87  0.974
5 C -2.88 2.36 0.02  -0.755
6 C 2.25 -1.01 0.10  0.095
7 C -2.53 3.74 -0.54  -0.696
8 C 1.89 -0.06 1.05  0.127
9 C 1.24 -1.94 -0.50  -0.708
10 C -1.78 3.60 -1.86  -0.708
11 C 2.84 0.81 1.57  -0.803
12 C -1.06 -2.44 -0.44  -0.757
13 C -0.52 2.76 -1.68  -0.906
14 C -2.34 -2.13 0.35  0.025
15 C -1.60 1.53 0.22  -0.434
16 C -2.74 -0.65 0.25  -1.006
17 C 4.54 -0.20 0.22  -0.696
18 C 3.58 -1.06 -0.29  0.381
19 C 4.16 0.74 1.16  -0.370
20 C -1.96 0.32 2.30  -1.248
21 C -0.87 1.39 -1.12  0.089
22 H -0.93 2.10 0.88  0.382
23 H -3.44 4.32 -0.69  0.380
24 H 1.63 -2.97 -0.49  0.536
25 H 2.54 1.54 2.31  0.418
26 H -1.20 0.97 2.72  0.336
27 H -0.94 -3.53 -0.51  0.321
28 H 0.16 3.27 -0.99  0.359
29 H -2.95 0.70 2.59  0.345
30 H -1.52 4.59 -2.24  0.368
31 H 0.86 -0.02 1.36  0.360
32 H -1.84 -0.67 2.73  0.312
33 H -1.51 0.87 -1.84  0.287
34 H 5.56 -0.28 -0.12  0.456
35 H 0.03 0.79 -0.97  -0.327
36 H -3.55 1.85 -0.66  0.234
37 H -1.91 4.27 0.18  0.334
38 H -2.43 3.13 -2.60  0.321
39 H 0.00 2.65 -2.63  0.386
40 H 4.89 1.41 1.57  0.380
41 H -1.16 -2.05 -1.47  0.347
42 H -3.74 -0.55 0.71  0.090
43 H -2.84 -0.40 -0.81  0.544
44 H -3.40 2.47 0.98  0.345
45 H -2.16 -2.40 1.40  0.274
46 H -3.61 -2.74 -0.99  0.381
47 H 1.09 -1.67 -1.56  0.302

Properties
ΔE to the lowest compared entry with this formula, charge and spin ... 0.214 eV
Maximum force ... 0.62 eV/A
2S+1 ... 1
E_LUMO ... 0.7 eV

***

2.
Computed, not measured: a structure of composition C17H26N2S3Sr, with wB97M-V/def2-TZVPD.

Last column: Mulliken charge in e.
Positions of all 49 atoms, in Å:
1 Sr -2.17 1.88 1.47  1.107
2 S -4.77 3.10 0.95  -0.592
3 S -4.56 0.75 2.84  -0.548
4 S -7.18 2.09 2.38  -0.492
5 N -0.65 -2.79 0.55  0.365
6 N -1.60 -0.70 0.99  0.125
7 C 0.30 -4.60 2.00  -1.066
8 C 0.44 -2.18 -0.20  -1.137
9 C -1.60 -1.96 1.13  0.644
10 C 4.42 2.54 -0.54  -0.306
11 C 4.08 1.87 -1.71  -0.761
12 C -0.48 1.35 -0.51  -2.788
13 C 1.71 2.22 -1.28  -0.463
14 C 2.75 1.72 -2.07  -0.063
15 C 1.52 -1.51 0.64  -0.754
16 C -2.70 -2.61 1.94  -1.197
17 C 3.40 3.04 0.26  -0.918
18 C 0.06 1.35 -2.98  -2.208
19 C 0.23 2.10 -1.64  2.559
20 C -0.59 -4.21 0.82  -0.797
21 C -5.52 1.98 2.06  0.061
22 C 2.08 2.87 -0.10  0.176
23 C -0.30 3.54 -1.91  -1.897
24 H 1.09 -0.71 1.25  0.115
25 H 0.43 0.33 -2.89  0.300
26 H 0.22 -5.67 2.21  0.414
27 H 0.19 4.03 -2.77  0.425
28 H -1.59 -4.59 0.98  0.436
29 H 2.51 1.18 -2.98  0.304
30 H 2.27 -1.05 -0.01  0.250
31 H 1.34 -4.37 1.81  0.280
32 H -3.34 -1.82 2.32  0.086
33 H -0.84 -0.24 0.41  0.447
34 H -0.16 4.16 -1.02  0.304
35 H -2.30 -3.20 2.77  0.232
36 H 2.02 -2.23 1.30  0.379
37 H 4.86 1.46 -2.34  0.333
38 H 0.03 -1.43 -0.88  0.436
39 H -3.30 -3.28 1.31  0.293
40 H 5.46 2.67 -0.26  0.366
41 H -1.01 1.30 -3.19  0.497
42 H -0.01 -4.06 2.90  0.235
43 H 3.64 3.56 1.18  0.328
44 H -0.21 -4.70 -0.08  0.350
45 H 0.89 -2.97 -0.82  0.325
46 H 0.55 1.84 -3.83  0.423
47 H -1.37 3.48 -2.10  0.370
48 H -1.55 1.24 -0.89  0.792
49 H 1.28 3.22 0.54  0.230

Properties
ΔE to the lowest compared entry with this formula, charge and spin ... 0.000 eV
Maximum force ... 0.78 eV/A
2S+1 ... 1
E_LUMO ... 4.5 eV
Charge ... -2

***

3.
Computed, not measured: a cluster of 2 separate species, C17H26N3 in total, with wB97M-V/def2-TZVPD.

Last column: Mulliken charge in e.
Positions of all 46 atoms, in Å:
1 N 1.30 1.04 -0.74  -0.542
2 N 2.08 -0.28 0.99  0.198
3 N 3.67 0.66 -0.46  0.128
4 C 1.66 1.63 -2.02  -0.764
5 C 4.40 -0.94 1.24  -0.756
6 C -3.70 -0.74 -0.08  0.390
7 C 0.71 -0.43 1.35  -1.109
8 C 4.12 1.45 -1.59  -0.672
9 C 3.00 2.35 -2.06  -0.636
10 C -3.41 0.66 -0.15  1.247
11 C -2.73 -1.71 0.29  0.475
12 C -5.03 -1.23 -0.34  -0.392
13 C 4.79 0.20 0.35  -0.692
14 C -3.03 -3.07 0.30  -0.722
15 C -2.42 1.33 0.72  -0.758
'''

Result:
1.
Computed, not measured: an isolated molecule of C17H26FNO2, with wB97M-V/def2-TZVPD.

Last column: Mulliken charge in e.
Positions of all 47 atoms, in Å:
1 F 3.95 -1.97 -1.22  -0.335
2 O -3.40 -2.96 -0.07  -0.598
3 O 0.03 -1.85 0.21  -0.142
4 N -1.78 0.24 0.87  0.974
5 C -2.88 2.36 0.02  -0.755
6 C 2.25 -1.01 0.10  0.095
7 C -2.53 3.74 -0.54  -0.696
8 C 1.89 -0.06 1.05  0.127
9 C 1.24 -1.94 -0.50  -0.708
10 C -1.78 3.60 -1.86  -0.708
11 C 2.84 0.81 1.57  -0.803
12 C -1.06 -2.44 -0.44  -0.757
13 C -0.52 2.76 -1.68  -0.906
14 C -2.34 -2.13 0.35  0.025
15 C -1.60 1.53 0.22  -0.434
16 C -2.74 -0.65 0.25  -1.006
17 C 4.54 -0.20 0.22  -0.696
18 C 3.58 -1.06 -0.29  0.381
19 C 4.16 0.74 1.16  -0.370
20 C -1.96 0.32 2.30  -1.248
21 C -0.87 1.39 -1.12  0.089
22 H -0.93 2.10 0.88  0.382
23 H -3.44 4.32 -0.69  0.380
24 H 1.63 -2.97 -0.49  0.536
25 H 2.54 1.54 2.31  0.418
26 H -1.20 0.97 2.72  0.336
27 H -0.94 -3.53 -0.51  0.321
28 H 0.16 3.27 -0.99  0.359
29 H -2.95 0.70 2.59  0.345
30 H -1.52 4.59 -2.24  0.368
31 H 0.86 -0.02 1.36  0.360
32 H -1.84 -0.67 2.73  0.312
33 H -1.51 0.87 -1.84  0.287
34 H 5.56 -0.28 -0.12  0.456
35 H 0.03 0.79 -0.97  -0.327
36 H -3.55 1.85 -0.66  0.234
37 H -1.91 4.27 0.18  0.334
38 H -2.43 3.13 -2.60  0.321
39 H 0.00 2.65 -2.63  0.386
40 H 4.89 1.41 1.57  0.380
41 H -1.16 -2.05 -1.47  0.347
42 H -3.74 -0.55 0.71  0.090
43 H -2.84 -0.40 -0.81  0.544
44 H -3.40 2.47 0.98  0.345
45 H -2.16 -2.40 1.40  0.274
46 H -3.61 -2.74 -0.99  0.381
47 H 1.09 -1.67 -1.56  0.302

Properties
ΔE to the lowest compared entry with this formula, charge and spin ... 0.214 eV
Maximum force ... 0.62 eV/A
2S+1 ... 1
E_LUMO ... 0.7 eV

***

2.
Computed, not measured: a structure of composition C17H26N2S3Sr, with wB97M-V/def2-TZVPD.

Last column: Mulliken charge in e.
Positions of all 49 atoms, in Å:
1 Sr -2.17 1.88 1.47  1.107
2 S -4.77 3.10 0.95  -0.592
3 S -4.56 0.75 2.84  -0.548
4 S -7.18 2.09 2.38  -0.492
5 N -0.65 -2.79 0.55  0.365
6 N -1.60 -0.70 0.99  0.125
7 C 0.30 -4.60 2.00  -1.066
8 C 0.44 -2.18 -0.20  -1.137
9 C -1.60 -1.96 1.13  0.644
10 C 4.42 2.54 -0.54  -0.306
11 C 4.08 1.87 -1.71  -0.761
12 C -0.48 1.35 -0.51  -2.788
13 C 1.71 2.22 -1.28  -0.463
14 C 2.75 1.72 -2.07  -0.063
15 C 1.52 -1.51 0.64  -0.754
16 C -2.70 -2.61 1.94  -1.197
17 C 3.40 3.04 0.26  -0.918
18 C 0.06 1.35 -2.98  -2.208
19 C 0.23 2.10 -1.64  2.559
20 C -0.59 -4.21 0.82  -0.797
21 C -5.52 1.98 2.06  0.061
22 C 2.08 2.87 -0.10  0.176
23 C -0.30 3.54 -1.91  -1.897
24 H 1.09 -0.71 1.25  0.115
25 H 0.43 0.33 -2.89  0.300
26 H 0.22 -5.67 2.21  0.414
27 H 0.19 4.03 -2.77  0.425
28 H -1.59 -4.59 0.98  0.436
29 H 2.51 1.18 -2.98  0.304
30 H 2.27 -1.05 -0.01  0.250
31 H 1.34 -4.37 1.81  0.280
32 H -3.34 -1.82 2.32  0.086
33 H -0.84 -0.24 0.41  0.447
34 H -0.16 4.16 -1.02  0.304
35 H -2.30 -3.20 2.77  0.232
36 H 2.02 -2.23 1.30  0.379
37 H 4.86 1.46 -2.34  0.333
38 H 0.03 -1.43 -0.88  0.436
39 H -3.30 -3.28 1.31  0.293
40 H 5.46 2.67 -0.26  0.366
41 H -1.01 1.30 -3.19  0.497
42 H -0.01 -4.06 2.90  0.235
43 H 3.64 3.56 1.18  0.328
44 H -0.21 -4.70 -0.08  0.350
45 H 0.89 -2.97 -0.82  0.325
46 H 0.55 1.84 -3.83  0.423
47 H -1.37 3.48 -2.10  0.370
48 H -1.55 1.24 -0.89  0.792
49 H 1.28 3.22 0.54  0.230

Properties
ΔE to the lowest compared entry with this formula, charge and spin ... 0.000 eV
Maximum force ... 0.78 eV/A
2S+1 ... 1
E_LUMO ... 4.5 eV
Charge ... -2

***

3.
Computed, not measured: a cluster of 2 separate species, C17H26N3 in total, with wB97M-V/def2-TZVPD.

Last column: Mulliken charge in e.
Positions of all 46 atoms, in Å:
1 N 1.30 1.04 -0.74  -0.542
2 N 2.08 -0.28 0.99  0.198
3 N 3.67 0.66 -0.46  0.128
4 C 1.66 1.63 -2.02  -0.764
5 C 4.40 -0.94 1.24  -0.756
6 C -3.70 -0.74 -0.08  0.390
7 C 0.71 -0.43 1.35  -1.109
8 C 4.12 1.45 -1.59  -0.672
9 C 3.00 2.35 -2.06  -0.636
10 C -3.41 0.66 -0.15  1.247
11 C -2.73 -1.71 0.29  0.475
12 C -5.03 -1.23 -0.34  -0.392
13 C 4.79 0.20 0.35  -0.692
14 C -3.03 -3.07 0.30  -0.722
15 C -2.42 1.33 0.72  -0.758